has anyone NOT dumped? HELP!
I haven't dumped, but I have gotten food "stuck" and then gotten sick and I haven't eaten anything Bad for me. I haven't even eaten a protein bar... I am too afraid to get use to the snacks. I have had a suger free fudgcicle. I have also tried the suger-free klondike bars and I couldn't eat but half of it. It has suger alcohol, so be careful but it hits an ice-cream craving (especially for me during my cycle) But, I have only had one. I don't eat it every day or every week. So, what made you eat a candy bar?? To see if you could??
Hi there,
I haven't dumped either. I have been sick a couple of times, eating too fast or eating a bit too much.
As far as junk food, I really haven't had any since surgery. I want to try and stay away from it. I have had a couple of potato chips, but like Apryl I eat the sugar free ice cream and popsicles. I am trying to give up all those "bad" things. This surgery was too important to me, I want to make sure I do what I can to make it work.
Take care all
Between two parts of the article: crystal structures:
____________
(1)
## Y3MgRh2 (GGA-PBE)

Data for an optimized crystal structure of Y3MgRh2.

Values from the calculation:
For the density, the calculation gives 5.4 Mg/m³. The energy is -6.5174 eV/atom. For the density of states at the Fermi level, the calculation gives 3.2 states/eV/f.u. For the spin magnetization, the calculation gives 0.0 μB per cell. The formation energy is -569 meV per atom.

Geometry as POSCAR:
```
Y3MgRh2
1.0
-3.192 2.564 5.122
-6.183 -2.046 -2.829
5.142 -5.991 2.006
Y Mg Rh
6 2 4
Direct
0.500 0.250 0.000 Y
0.500 0.750 0.000 Y
0.780 0.030 0.561 Y
0.220 0.470 0.439 Y
0.780 0.530 0.561 Y
0.220 0.970 0.439 Y
0.000 0.000 0.000 Mg
0.000 0.500 0.000 Mg
0.433 0.638 0.276 Rh
0.157 0.862 0.724 Rh
0.843 0.138 0.276 Rh
0.567 0.362 0.724 Rh
```

***

(2)
## YMg4Rh (GGA-PBE)

Data for an optimized crystal structure of YMg4Rh.

Values from the calculation:
For the density, the calculation gives 3.8 Mg/m³. The energy is -3.4106 eV/atom. For the density of states at the Fermi level, the calculation gives 0.5 states/eV/f.u. The calculation puts the energy above the most stable polymorph in this dataset at 264.5 meV/atom. For the spin magnetization, the calculation gives 0.0 μB per cell. The formation energy is -45 meV per atom.

Geometry as POSCAR:
```
YMg4Rh
1.0
0.000 3.970 3.970
3.970 0.000 3.970
3.970 3.970 0.000
Rh Mg Y
1 4 1
Direct
0.750 0.750 0.750 Rh
0.376 0.872 0.376 Mg
0.376 0.376 0.872 Mg
0.872 0.376 0.376 Mg
0.376 0.376 0.376 Mg
0.000 0.000 0.000 Y
```

***

(3)
## Y2MgRh3 (GGA-PBE)

Data for an optimized crystal structure of Y2MgRh3.

Values from the calculation:
For the density, the calculation gives 7.6 Mg/m³. The energy is -6.8456 eV/atom. For the density of states at the Fermi level, the calculation gives 1.7 states/eV/f.u. For the spin magnetization, the calculation gives 0.0 μB per cell. The formation energy is -749 meV per atom.

Geometry as POSCAR:
```
Y2MgRh3
1.0
-3.501 2.203 2.278
-0.375 -0.873 -4.626
-4.920 -10.223 2.327
Rh Y Mg
6 4 2
Direct
0.333 0.667 0.913 Rh
0.000 0.000 0.746 Rh
0.333 0.667 0.421 Rh
0.667 0.333 0.579 Rh
0.667 0.333 0.087 Rh
0.000 0.000 0.254 Rh
0.000 0.000 0.000 Y
0.000 0.000 0.500 Y
0.667 0.333 0.820 Y
0.333 0.667 0.180 Y
0.667 0.333 0.337 Mg
0.333 0.667 0.663 Mg
```

***

(4)
## Y6MgRh2 (GGA-PBE)

Data for an optimized crystal structure of Y6MgRh2.

Values from the calculation:
For the density, the calculation gives 5.3 Mg/m³. The energy is -6.5835 eV/atom. For the density of states at the Fermi level, the calculation gives 9.6 states/eV/f.u. For the spin magnetization, the calculation gives 0.0 μB per cell. The formation energy is -463 meV per atom.

Geometry as POSCAR:
```
Y6MgRh2
1.0
8.042 0.273 -2.895
-4.475 7.004 -2.015
-0.268 -0.273 8.543
Y Mg Rh
12 2 4
Direct
0.199 0.238 0.437 Y
0.308 0.984 0.675 Y
0.801 0.238 0.038 Y
0.692 0.016 0.325 Y
0.308 0.633 0.325 Y
0.801 0.762 0.563 Y
0.104 0.286 0.818 Y
0.199 0.762 0.962 Y
0.532 0.714 0.818 Y
0.896 0.714 0.182 Y
0.692 0.367 0.675 Y
0.468 0.286 0.182 Y
____________
RNY Aug 1/05
I have had a rapid heart rate a few times, but it wasn't after eating anything sweet. I ate some carb monitor chicken, cheese, enchilada soup the other day too fast & had a rapid heart rate & felt dizzy for about a half our. I really read the labels & have not tried anything with full sugar in it. If I get a craving for chocolate, I have a piece of a Hershey's low carb chocolate bar that's made with splenda. I've also found that reeses has made low carb peanut butter cups too. One cup seems to satisfy the urge. I'm not sure if I'll ever try full sugar anything, because I don't think I want to know if I will have a reaction or not.
Good Luck with everything
I have not dumped...I'm 9 1/2 weeks post-op and down 69 pounds, too. I think it is because I am NOT even trying to see if I dum*****t. I am not interested in seeing if I dump. I don't want to get sick and I don' want to NOT get sick and think I can have something. I feel so much better there is no way I would eat that stuff again. I remember what it tastes like. Try sugar free if you just can help yourself, but try to.
I have not dumped...I'm 9 1/2 weeks post-op and down 69 pounds, too. I think it is because I am NOT even trying to see if I dum*****t. I am not interested in seeing if I dump. I don't want to get sick and I don' want to NOT get sick and think I can have something. I feel so much better there is no way I would eat that stuff again. I remember what it tastes like. Try sugar free if you just can help yourself, but try to.
I haven't had a severe dump yet. What I do get if I eat the "wrong" thing is mild sweating and heart racing (mild dump) If I eat something with too much fat in it I get a stomach ache and the runs.
I hear people all the time telling me how deathly ill they get if they even "sample" something bad and it scares me because I can "sample" and no ill effects.
the other night I went to a bday party and they had my favorite carrot cake there. I finally broke down and ate a teaspoon of it and no problems... it was heaven.
Then I have to laugh at being so paranoid about eating a teaspoon of carrot cake when before surgery I would have eaten the whole cake lol.
The only thing I've had problems with and avoid for now is CHICKEN lol.
I haven't dumped either. Sugar alcohols seem to give me a bit of gas, but don't make me dump. I have had a nibble of a candy bar...when I say nibble, I mean nibble, too. And at a family birthday party I had a bite of vanilla ice cream with a bite of brownie. Now, the whole "bite" was probably half a teaspoon, no more. I didn't have any adverse affects and was really worried that I wouldn't dump. But then I realized that I didn't eat enough of either at the time to make me dump. So I just don't pu**** I've lost 74 pounds since surgery.
thanks everyone! to answer the question of why i ate the reeses cup. i ate it because i was really really wanting it, lol, and i couldnt control my self, and then i also wondered if i COULD........lol! temptation got me and i gave in to it. i am trying really hard to be good. im not eating a BUNCH of bad things, just every so often i eat a bite of something i shouldnt.